(To do)
Please return everything further down without additions.

(File)
+++
Density functional theory data (ωB97M-V with the def2-TZVPD basis set) for H12NaO6 as an isolated structure at a distorted geometry.

```
19
H12NaO6 | OMol25 | ωB97M-V with the def2-TZVPD basis set
Na 0.173 -0.047 -0.127
O -0.200 -1.175 1.259
H -0.629 -0.782 2.019
H -0.910 -1.592 0.772
O 1.843 1.096 -0.670
H 2.396 1.876 -0.620
H 2.225 0.490 -0.035
O -1.400 -0.947 -0.648
H -1.445 -1.814 -1.051
H -2.196 -0.504 -0.942
O 0.701 0.982 1.676
H 1.616 0.912 1.949
H 0.231 0.381 2.254
O 0.593 -0.467 -1.898
H 1.250 -1.161 -1.856
H -0.131 -0.851 -2.393
O -1.030 1.119 0.274
H -1.908 0.920 0.598
H -1.177 1.563 -0.561
```

**Maximum force**: 7.8 eV/Å
**E_tot**: -16886.199 eV
**Charge**: +1

Löwdin atomic charge list, values in e, 6 entries: number 1, Na, carries 0.13; number 2, O, carries -0.04; number 3, H, carries 0.08; number 4, H, carries 0.06; number 5, O, carries -0.01; number 6, H, carries 0.10



Density functional theory data (ωB97M-V with the def2-TZVPD basis set) for C2H5NOS as an isolated structure at a distorted geometry.

```
10
C2H5NOS | OMol25 | ωB97M-V with the def2-TZVPD basis set
C 0.708 0.061 -0.155
C -0.349 -1.095 0.103
H -0.445 2.329 -0.189
H 1.457 1.820 -0.534
H 0.039 -2.213 -0.685
H -0.061 -1.482 1.231
H -2.376 0.160 0.577
N 0.423 1.392 0.089
O -1.698 -0.467 -0.334
S 2.302 -0.504 -0.103
```

**Maximum force**: 7.1 eV/Å
**E_tot**: -16521.151 eV

Löwdin atomic charge list, values in e, 6 entries: number 1, C, carries -0.95; number 2, C, carries -0.28; number 3, H, carries 0.24; number 4, H, carries 0.18; number 5, H, carries 0.20; number 6, H, carries 0.13



Density functional theory data (ωB97M-V with the def2-TZVPD basis set) for C73H112F25N23O31S11 as an isolated structure at a distorted geometry.

```
275
C73H112F25N23O31S11 | OMol25 | ωB97M-V with the def2-TZVPD basis set
C 0.857 0.480 -0.763
C 0.273 -0.772 -1.045
C -0.335 -1.585 0.135
O -0.738 -2.689 -0.112
C -0.337 -1.030 1.405
C 0.339 0.169 1.726
C 0.897 0.990 0.576
O 1.334 2.175 0.794
O 0.452 0.581 2.883
O 0.260 -1.215 -2.184
H 1.195 1.081 -1.553
H -0.807 -1.610 2.210
C 1.249 7.950 -5.362
C -0.256 7.646 -5.291
N -0.531 6.698 -4.246
C -1.525 5.734 -4.142
C -1.383 5.022 -3.017
N -0.376 5.640 -2.366
C 0.208 6.563 -3.102
C 0.419 5.111 -1.191
H 1.472 8.680 -4.581
H 1.630 8.400 -6.281
H 1.873 7.108 -5.114
H -0.474 7.118 -6.189
H -0.978 8.502 -5.291
H -2.370 5.699 -4.850
H -1.974 4.196 -2.583
H 1.053 7.112 -2.749
H -0.266 4.627 -0.483
H 0.846 6.047 -0.818
H 1.157 4.407 -1.479
C 6.692 -7.048 -3.755
C 5.678 -6.014 -4.146
N 5.337 -5.061 -3.011
C 6.151 -4.527 -2.061
C 5.445 -3.705 -1.255
N 4.224 -3.618 -1.838
C 4.144 -4.496 -2.865
C 3.101 -2.773 -1.439
H 6.146 -7.576 -2.996
H 7.572 -6.615 -3.260
H 6.933 -7.659 -4.591
H 4.731 -6.467 -4.374
H 5.953 -5.361 -4.989
H 7.239 -4.728 -1.948
H 5.664 -3.182 -0.338
H 3.288 -4.622 -3.508
H 3.251 -1.743 -1.708
H 2.906 -2.803 -0.351
H 2.294 -3.021 -2.106
C -2.990 -0.401 -1.568
C -4.238 -1.355 -1.437
N -4.528 -1.417 0.022
C -3.602 -1.631 1.011
C -4.234 -1.634 2.212
N -5.535 -1.264 1.944
C -5.655 -1.148 0.664
C -6.605 -1.018 2.863
H -2.142 -1.036 -1.288
H -3.112 0.440 -0.928
H -2.927 -0.182 -2.593
H -4.058 -2.406 -1.744
H -5.093 -0.992 -1.979
H -2.589 -1.901 0.778
H -3.800 -1.802 3.186
H -6.463 -0.838 0.057
H -7.461 -0.977 2.188
H -6.512 0.004 3.331
H -6.704 -1.797 3.633
C 3.905 5.292 1.284
C 2.708 5.441 2.231
N 2.808 4.553 3.430
C 2.347 3.256 3.429
C 2.563 2.702 4.623
N 3.257 3.658 5.324
C 3.345 4.769 4.625
C 3.932 3.463 6.627
H 3.977 4.274 0.911
H 4.883 5.564 1.769
H 3.802 5.943 0.434
H 1.785 5.090 1.752
H 2.465 6.389 2.657
H 1.850 2.837 2.566
H 2.331 1.724 4.969
H 3.839 5.664 4.891
H 4.988 3.572 6.444
H 3.514 2.515 7.093
H 3.589 4.260 7.281
C -3.163 -5.236 -1.636
C -2.780 -5.223 -0.162
N -2.024 -6.417 0.276
C -0.696 -6.647 0.223
C -0.424 -7.865 0.798
N -1.686 -8.314 1.161
C -2.618 -7.464 0.828
C -2.037 -9.652 1.742
H -3.956 -5.897 -1.938
H -2.423 -5.528 -2.389
H -3.445 -4.259 -1.968
H -3.675 -5.231 0.481
H -2.163 -4.318 0.039
+++

(Worked solution)
Density functional theory data (ωB97M-V with the def2-TZVPD basis set) for H12NaO6 as an isolated structure at a distorted geometry.

```
19
H12NaO6 | OMol25 | ωB97M-V with the def2-TZVPD basis set
Na 0.173 -0.047 -0.127
O -0.200 -1.175 1.259
H -0.629 -0.782 2.019
H -0.910 -1.592 0.772
O 1.843 1.096 -0.670
H 2.396 1.876 -0.620
H 2.225 0.490 -0.035
O -1.400 -0.947 -0.648
H -1.445 -1.814 -1.051
H -2.196 -0.504 -0.942
O 0.701 0.982 1.676
H 1.616 0.912 1.949
H 0.231 0.381 2.254
O 0.593 -0.467 -1.898
H 1.250 -1.161 -1.856
H -0.131 -0.851 -2.393
O -1.030 1.119 0.274
H -1.908 0.920 0.598
H -1.177 1.563 -0.561
```

**Maximum force**: 7.8 eV/Å
**E_tot**: -16886.199 eV
**Charge**: +1

Löwdin atomic charge list, values in e, 6 entries: number 1, Na, carries 0.13; number 2, O, carries -0.04; number 3, H, carries 0.08; number 4, H, carries 0.06; number 5, O, carries -0.01; number 6, H, carries 0.10



Density functional theory data (ωB97M-V with the def2-TZVPD basis set) for C2H5NOS as an isolated structure at a distorted geometry.

```
10
C2H5NOS | OMol25 | ωB97M-V with the def2-TZVPD basis set
C 0.708 0.061 -0.155
C -0.349 -1.095 0.103
H -0.445 2.329 -0.189
H 1.457 1.820 -0.534
H 0.039 -2.213 -0.685
H -0.061 -1.482 1.231
H -2.376 0.160 0.577
N 0.423 1.392 0.089
O -1.698 -0.467 -0.334
S 2.302 -0.504 -0.103
```

**Maximum force**: 7.1 eV/Å
**E_tot**: -16521.151 eV

Löwdin atomic charge list, values in e, 6 entries: number 1, C, carries -0.95; number 2, C, carries -0.28; number 3, H, carries 0.24; number 4, H, carries 0.18; number 5, H, carries 0.20; number 6, H, carries 0.13



Density functional theory data (ωB97M-V with the def2-TZVPD basis set) for C73H112F25N23O31S11 as an isolated structure at a distorted geometry.

```
275
C73H112F25N23O31S11 | OMol25 | ωB97M-V with the def2-TZVPD basis set
C 0.857 0.480 -0.763
C 0.273 -0.772 -1.045
C -0.335 -1.585 0.135
O -0.738 -2.689 -0.112
C -0.337 -1.030 1.405
C 0.339 0.169 1.726
C 0.897 0.990 0.576
O 1.334 2.175 0.794
O 0.452 0.581 2.883
O 0.260 -1.215 -2.184
H 1.195 1.081 -1.553
H -0.807 -1.610 2.210
C 1.249 7.950 -5.362
C -0.256 7.646 -5.291
N -0.531 6.698 -4.246
C -1.525 5.734 -4.142
C -1.383 5.022 -3.017
N -0.376 5.640 -2.366
C 0.208 6.563 -3.102
C 0.419 5.111 -1.191
H 1.472 8.680 -4.581
H 1.630 8.400 -6.281
H 1.873 7.108 -5.114
H -0.474 7.118 -6.189
H -0.978 8.502 -5.291
H -2.370 5.699 -4.850
H -1.974 4.196 -2.583
H 1.053 7.112 -2.749
H -0.266 4.627 -0.483
H 0.846 6.047 -0.818
H 1.157 4.407 -1.479
C 6.692 -7.048 -3.755
C 5.678 -6.014 -4.146
N 5.337 -5.061 -3.011
C 6.151 -4.527 -2.061
C 5.445 -3.705 -1.255
N 4.224 -3.618 -1.838
C 4.144 -4.496 -2.865
C 3.101 -2.773 -1.439
H 6.146 -7.576 -2.996
H 7.572 -6.615 -3.260
H 6.933 -7.659 -4.591
H 4.731 -6.467 -4.374
H 5.953 -5.361 -4.989
H 7.239 -4.728 -1.948
H 5.664 -3.182 -0.338
H 3.288 -4.622 -3.508
H 3.251 -1.743 -1.708
H 2.906 -2.803 -0.351
H 2.294 -3.021 -2.106
C -2.990 -0.401 -1.568
C -4.238 -1.355 -1.437
N -4.528 -1.417 0.022
C -3.602 -1.631 1.011
C -4.234 -1.634 2.212
N -5.535 -1.264 1.944
C -5.655 -1.148 0.664
C -6.605 -1.018 2.863
H -2.142 -1.036 -1.288
H -3.112 0.440 -0.928
H -2.927 -0.182 -2.593
H -4.058 -2.406 -1.744
H -5.093 -0.992 -1.979
H -2.589 -1.901 0.778
H -3.800 -1.802 3.186
H -6.463 -0.838 0.057
H -7.461 -0.977 2.188
H -6.512 0.004 3.331
H -6.704 -1.797 3.633
C 3.905 5.292 1.284
C 2.708 5.441 2.231
N 2.808 4.553 3.430
C 2.347 3.256 3.429
C 2.563 2.702 4.623
N 3.257 3.658 5.324
C 3.345 4.769 4.625
C 3.932 3.463 6.627
H 3.977 4.274 0.911
H 4.883 5.564 1.769
H 3.802 5.943 0.434
H 1.785 5.090 1.752
H 2.465 6.389 2.657
H 1.850 2.837 2.566
H 2.331 1.724 4.969
H 3.839 5.664 4.891
H 4.988 3.572 6.444
H 3.514 2.515 7.093
H 3.589 4.260 7.281
C -3.163 -5.236 -1.636
C -2.780 -5.223 -0.162
N -2.024 -6.417 0.276
C -0.696 -6.647 0.223
C -0.424 -7.865 0.798
N -1.686 -8.314 1.161
C -2.618 -7.464 0.828
C -2.037 -9.652 1.742
H -3.956 -5.897 -1.938
H -2.423 -5.528 -2.389
H -3.445 -4.259 -1.968
H -3.675 -5.231 0.481
H -2.163 -4.318 0.039